### File
<<<
[1]
This record from Alexandria describes a geometry-optimized RbCuAs2Br structure. The functional is PBE-GGA.

The total energy comes out at -3.30 eV per atom. The value obtained for the uncorrected formation energy is -0.0936 eV/atom.

The structure belongs to space group P4/mmm (No. 123); the cell edges are 4.622, 4.622 and 7.835 Å and the angles 90.00°, 90.00° and 90.00°. The distinct sites, in fractional coordinates, are Rb at (0.000, 0.000, 0.000), Cu at (0.500, 0.500, 0.500), As at (0.000, 0.500, 0.500) and Br at (0.500, 0.500, 0.000).

[2]
This record from Alexandria describes a geometry-optimized RbCuAsBr2 structure. The functional is PBE-GGA.

The total energy comes out at -2.99 eV per atom. The value obtained for the polymorph energy (0 for the lowest one) is 0.00 eV per formula unit. The value obtained for the uncorrected formation energy is -0.3824 eV/atom.

The structure belongs to space group P4/mmm (No. 123); the cell edges are 5.567, 5.567 and 4.675 Å and the angles 90.00°, 90.00° and 90.00°. The distinct sites, in fractional coordinates, are Rb at (0.000, 0.000, 0.000), Cu at (0.500, 0.500, 0.500), As at (0.500, 0.500, 0.000) and Br at (0.000, 0.500, 0.500).

[3]
This record from Alexandria describes a geometry-optimized Rb2CuAsBr6 structure. The functional is PBE-GGA.

The total energy comes out at -2.99 eV per atom. The value obtained for the uncorrected formation energy is -0.9152 eV/atom.

The structure belongs to space group Fm-3m (No. 225); the cell edges are 10.709, 10.709 and 10.709 Å and the angles 90.00°, 90.00° and 90.00°. The distinct sites, in fractional coordinates, are Rb at (0.250, 0.250, 0.250), Cu at (0.000, 0.000, 0.000), As at (0.000, 0.000, 0.500) and Br at (0.000, 0.000, 0.248).

[4]
This record from Alexandria describes a geometry-optimized CuReAs2Br structure. The functional is PBE-GGA.

The total energy comes out at -4.72 eV per atom. The value obtained for the polymorph energy (0 for the lowest one) is 0.00 eV per formula unit. The value obtained for the uncorrected formation energy is 0.7860 eV/atom.

The structure belongs to space group P4/mmm (No. 123); the cell edges are 4.718, 4.718 and 5.576 Å and the angles 90.00°, 90.00° and 90.00°. The distinct sites, in fractional coordinates, are Cu at (0.000, 0.000, 0.000), Re at (0.500, 0.500, 0.500), As at (0.000, 0.500, 0.500) and Br at (0.500, 0.500, 0.000).

[5]
This record from Alexandria describes a geometry-optimized CuAs2RuBr structure. The functional is PBE-GGA.

The total energy comes out at -4.24 eV per atom. The value obtained for the polymorph energy (0 for the lowest one) is 0.00 eV per formula unit. The value obtained for the uncorrected formation energy is 0.6326 eV/atom.

The structure belongs to space group P4/mmm (No. 123); the cell edges are 4.676, 4.676 and 5.429 Å and the angles 90.00°, 90.00° and 90.00°. The distinct sites, in fractional coordinates, are Cu at (0.000, 0.000, 0.000), As at (0.000, 0.500, 0.500), Ru at (0.500, 0.500, 0.500) and Br at (0.500, 0.500, 0.000).

[6]
This record from Alexandria describes a geometry-optimized CuAs2SBr structure. The functional is PBE-GGA.

The total energy comes out at -3.10 eV per atom. The value obtained for the polymorph energy (0 for the lowest one) is 0.00 eV per formula unit. The value obtained for the uncorrected formation energy is 0.7396 eV/atom.

The structure belongs to space group P4/mmm (No. 123); the cell edges are 4.836, 4.836 and 4.657 Å and the angles 90.00°, 90.00° and 90.00°. The distinct sites, in fractional coordinates, are Cu at (0.000, 0.000, 0.000), As at (0.000, 0.500, 0.000), S at (0.500, 0.500, 0.500) and Br at (0.000, 0.000, 0.500).

[7]
This record from Alexandria describes a geometry-optimized CuAs2SBr structure. The functional is PBE-GGA.
>>>

### Job
Filter the rows above: keep the lines with the word "one", please.

### Completed
The total energy comes out at -2.99 eV per atom. The value obtained for the polymorph energy (0 for the lowest one) is 0.00 eV per formula unit. The value obtained for the uncorrected formation energy is -0.3824 eV/atom.
The total energy comes out at -4.72 eV per atom. The value obtained for the polymorph energy (0 for the lowest one) is 0.00 eV per formula unit. The value obtained for the uncorrected formation energy is 0.7860 eV/atom.
The total energy comes out at -4.24 eV per atom. The value obtained for the polymorph energy (0 for the lowest one) is 0.00 eV per formula unit. The value obtained for the uncorrected formation energy is 0.6326 eV/atom.
The total energy comes out at -3.10 eV per atom. The value obtained for the polymorph energy (0 for the lowest one) is 0.00 eV per formula unit. The value obtained for the uncorrected formation energy is 0.7396 eV/atom.